Given:
- - -
No. 1
C4H11NO | ωB97M-V with the def2-TZVPD basis set

Orbital gap (alpha / beta): 10.01 / 5.04 eV
ΔE to the lowest compared entry with this formula, charge and spin: 89.2 kcal per mole
Charge: +1
<S²>: 0.755
Multiplicity: 2

Geometry as XYZ:
```
17
C4H11NO ωB97M-V with the def2-TZVPD basis set
H -0.144 1.382 3.298
N 0.933 -1.142 1.376
O -1.131 -0.285 1.450
C 0.224 0.229 -2.271
H 0.711 -1.934 0.736
C 0.033 -0.099 1.663
H 1.994 -1.056 1.433
H -0.217 1.999 1.609
H 0.269 1.159 -1.644
H -1.030 -1.697 -1.730
C -1.084 -0.582 -1.832
H -1.779 -0.371 -0.914
H 1.164 -0.047 -1.820
H -1.716 -0.555 -2.702
H 1.382 1.541 2.358
H -0.026 0.300 -3.282
C 0.417 1.159 2.273
```



No. 2
C7H15ClS | ωB97M-V with the def2-TZVPD basis set

Orbital gap (alpha / beta): 8.50 / 7.80 eV
<S²>: 2.007
Multiplicity: 3

Geometry as XYZ:
```
24
C7H15ClS ωB97M-V with the def2-TZVPD basis set
H -1.339 2.773 0.096
C -1.167 0.617 0.056
C 3.091 -0.575 0.563
H -0.839 2.072 1.631
C -1.023 0.549 -1.464
C -0.730 1.998 0.553
C -0.268 -0.425 0.722
H -2.919 -0.647 0.172
H -0.510 -0.507 1.783
H 3.537 -2.534 0.020
H 2.172 -1.843 -0.804
H 0.312 2.185 0.301
H 0.021 0.666 -1.753
H -1.379 -0.411 -1.835
H -1.606 1.337 -1.935
H 0.130 -2.734 1.013
C -2.621 0.359 0.456
H -3.283 1.066 -0.039
H 0.796 -0.167 0.625
Cl 3.816 0.875 0.119
H 3.819 -1.396 -1.342
S -0.458 -2.101 0.002
C 3.196 -1.622 -0.472
H -2.748 0.466 1.532
```



No. 3
C2H3IO2S | ωB97M-V with the def2-TZVPD basis set

Orbital gap (alpha / beta): 6.87 / 6.66 eV
ΔE to the lowest compared entry with this formula, charge and spin: 13.7 kcal per mole
<S²>: 2.008
Multiplicity: 3

Geometry as XYZ:
```
9
C2H3IO2S ωB97M-V with the def2-TZVPD basis set
C -0.769 1.540 0.649
C 0.898 -1.672 -0.839
I 0.691 -3.532 0.253
S 0.333 0.873 -0.692
O 0.308 -0.748 -0.117
H -0.432 1.065 1.565
H -1.885 1.444 0.465
H -0.647 2.686 0.603
O 1.503 -1.657 -1.887
```



No. 4
C31H41F6NO4P | ωB97M-V with the def2-TZVPD basis set

Orbital gap: 7.92 eV
Charge: +1

Geometry as XYZ:
```
84
C31H41F6NO4P ωB97M-V with the def2-TZVPD basis set
H -6.259 1.388 -0.594
C -6.063 -0.186 0.867
H 5.338 1.366 3.092
H -7.718 0.799 1.857
C -1.704 -3.888 -1.215
N 3.671 3.132 -3.140
H -2.986 3.153 -0.453
H -0.351 2.237 1.333
H -7.198 -0.763 -0.904
C -5.466 0.801 -0.127
C -1.144 0.305 0.924
H -6.782 -2.105 0.142
C 1.991 1.641 -1.873
C 3.199 2.660 -4.473
C 5.148 3.359 -3.198
C -0.186 1.175 1.449
H 2.003 0.880 -1.086
H 0.300 2.422 -1.286
H -2.903 1.817 1.933
H -6.129 1.334 2.456
H -8.073 -1.029 0.628
H -3.713 2.020 -1.619
C -3.303 1.142 1.173
F 2.350 -7.545 -0.163
C 0.956 0.701 2.089
H -4.619 3.407 -1.035
F 1.635 -5.970 1.810
H -4.984 0.242 -0.929
C 1.953 -5.345 0.658
H 3.516 1.403 4.664
C 0.397 -3.021 1.779
H 1.951 4.370 -2.996
O -2.220 0.811 0.260
H 5.355 4.096 -3.970
H -3.603 0.227 1.674
P 2.138 1.969 2.691
C -4.442 1.814 0.419
O -3.051 -1.972 0.471
H 2.118 2.561 -4.454
C 3.014 4.444 -2.814
H 3.808 2.513 -1.145
H -5.293 -0.859 1.226
H 3.446 5.201 -3.466
C -6.704 0.490 2.089
C -1.860 -2.090 0.483
H 1.583 1.180 -2.778
C 0.680 -4.868 -0.015
F 0.700 -6.491 -1.732
H 3.666 1.702 -4.692
H 5.481 3.724 -2.230
H 5.411 0.297 1.678
C 0.122 -5.435 -1.154
H -2.605 -3.481 -1.646
C -1.041 -4.970 -1.759
H 5.639 2.419 -3.437
H 4.141 2.564 1.501
C -0.014 -3.766 0.537
C 0.219 -1.544 1.690
H 3.387 1.166 0.779
C 2.458 1.444 4.431
F 3.169 -5.891 -1.311
H 4.300 -0.050 2.997
C 4.758 0.746 2.418
H 4.028 1.224 -2.346
F 4.020 -6.430 0.590
C 3.676 1.608 1.732
C -7.108 -1.069 0.134
C -0.931 -1.071 1.048
C 2.877 -6.341 -0.096
H 3.212 4.685 -1.774
C -3.898 2.643 -0.752
F 2.735 -4.286 0.951
O 0.779 -3.528 2.790
H 3.485 3.397 -5.219
O 1.194 2.739 -1.463
H 2.033 -1.073 2.715
H -6.732 -0.228 2.905
H 2.028 2.215 5.061
C 3.423 2.088 -2.071
H -1.416 -5.447 -2.650
C 1.157 -0.674 2.225
H 1.974 0.505 4.678
C -1.177 -3.287 -0.076
H -4.946 2.479 1.112
```



No. 5
C4H4F3O3S | ωB97M-V with the def2-TZVPD basis set

Orbital gap: 7.99 eV
- - -

What to do:
Return only the last part of the listing further up, starting with the line that has "0.300 2.422".

Result:
H 0.300 2.422 -1.286
H -2.903 1.817 1.933
H -6.129 1.334 2.456
H -8.073 -1.029 0.628
H -3.713 2.020 -1.619
C -3.303 1.142 1.173
F 2.350 -7.545 -0.163
C 0.956 0.701 2.089
H -4.619 3.407 -1.035
F 1.635 -5.970 1.810
H -4.984 0.242 -0.929
C 1.953 -5.345 0.658
H 3.516 1.403 4.664
C 0.397 -3.021 1.779
H 1.951 4.370 -2.996
O -2.220 0.811 0.260
H 5.355 4.096 -3.970
H -3.603 0.227 1.674
P 2.138 1.969 2.691
C -4.442 1.814 0.419
O -3.051 -1.972 0.471
H 2.118 2.561 -4.454
C 3.014 4.444 -2.814
H 3.808 2.513 -1.145
H -5.293 -0.859 1.226
H 3.446 5.201 -3.466
C -6.704 0.490 2.089
C -1.860 -2.090 0.483
H 1.583 1.180 -2.778
C 0.680 -4.868 -0.015
F 0.700 -6.491 -1.732
H 3.666 1.702 -4.692
H 5.481 3.724 -2.230
H 5.411 0.297 1.678
C 0.122 -5.435 -1.154
H -2.605 -3.481 -1.646
C -1.041 -4.970 -1.759
H 5.639 2.419 -3.437
H 4.141 2.564 1.501
C -0.014 -3.766 0.537
C 0.219 -1.544 1.690
H 3.387 1.166 0.779
C 2.458 1.444 4.431
F 3.169 -5.891 -1.311
H 4.300 -0.050 2.997
C 4.758 0.746 2.418
H 4.028 1.224 -2.346
F 4.020 -6.430 0.590
C 3.676 1.608 1.732
C -7.108 -1.069 0.134
C -0.931 -1.071 1.048
C 2.877 -6.341 -0.096
H 3.212 4.685 -1.774
C -3.898 2.643 -0.752
F 2.735 -4.286 0.951
O 0.779 -3.528 2.790
H 3.485 3.397 -5.219
O 1.194 2.739 -1.463
H 2.033 -1.073 2.715
H -6.732 -0.228 2.905
H 2.028 2.215 5.061
C 3.423 2.088 -2.071
H -1.416 -5.447 -2.650
C 1.157 -0.674 2.225
H 1.974 0.505 4.678
C -1.177 -3.287 -0.076
H -4.946 2.479 1.112
```



No. 5
C4H4F3O3S | ωB97M-V with the def2-TZVPD basis set

Orbital gap: 7.99 eV